Brief >
Your job: return the lines underneath up to the one that holds "0.9407], [-1.0289,", that line included.
Contents >
=====
{
  "formula": "C33H37AuN5PS2",
  "method": "ωB97M-V/def2-TZVPD",
  "fmax_ev_per_a": 5.75,
  "orbital_gap_ha": [0.24606, 0.19894],
  "lumo_ev": [-5.316, -8.264],
  "total_charge": 2,
  "multiplicity": 3,
  "species": ["Au", "N", "C", "C", "C", "C", "C", "C", "P", "C", "C", "C", "C", "C", "C", "C", "C", "C", "C", "C", "C", "H", "H", "H", "H", "H", "H", "H", "H", "H", "H", "H", "H", "H", "H", "H", "H", "S", "C", "C", "C", "N", "C", "C", "C", "C", "C", "N", "C", "C", "H", "H", "H", "H", "H", "H", "H", "H", "C", "C", "N", "C", "S", "N", "C", "C", "H", "H", "H", "H", "H", "H", "H", "H", "H", "H", "H", "H", "H"],
  "positions_angstrom": [[1.2854, 0.2073, 1.1008], [1.2094, 0.1011, 3.0697], [0.5136, -0.8983, 3.7763], [0.4881, -0.9367, 5.1710], [-0.2329, -1.9386, 5.8204], [-0.9273, -2.8923, 5.0775], [-0.9006, -2.8511, 3.6807], [-0.1747, -1.8561, 3.0202], [-0.0241, -1.6214, 1.2319], [-1.7547, -1.5908, 0.6518], [-2.7650, -0.9823, 1.4162], [-4.0824, -0.9098, 0.9531], [-4.4123, -1.4297, -0.2943], [-3.4230, -2.0083, -1.0835], [-2.1050, -2.0751, -0.6195], [0.6342, -3.2336, 0.6933], [1.9794, -3.2837, 0.2885], [2.5584, -4.4770, -0.1520], [1.8018, -5.6442, -0.1916], [0.4687, -5.6172, 0.2089], [-0.1095, -4.4216, 0.6471], [2.1694, 0.1907, 3.4327], [0.9583, 1.0381, 3.4171], [1.0212, -0.1957, 5.7576], [-0.2564, -1.9745, 6.9066], [-1.4936, -3.6700, 5.5836], [-1.4598, -3.5946, 3.1227], [-2.5362, -0.5401, 2.3838], [-4.8447, -0.4357, 1.5655], [-5.4347, -1.3697, -0.6573], [-3.6698, -2.3989, -2.0671], [-1.3501, -2.5075, -1.2736], [2.5921, -2.3839, 0.3116], [3.5995, -4.4905, -0.4632], [2.2501, -6.5729, -0.5338], [-0.1262, -6.5263, 0.1795], [-1.1549, -4.4337, 0.9440], [1.4701, 0.1623, -5.4050], [1.4046, 0.1769, -3.6232], [1.8960, 1.2679, -2.9100], [1.8164, 1.2345, -1.5287], [1.2854, 0.2073, -0.8325], [0.8079, -0.8320, -1.5493], [0.8414, -0.8930, -2.9316], [3.0666, -0.5919, -5.6537], [3.1817, -1.9759, -5.7619], [4.4417, -2.5127, -5.9620], [5.5654, -1.7719, -6.0633], [5.4232, -0.4333, -5.9640], [4.2082, 0.1986, -5.7641], [2.3302, 2.1264, -3.4091], [2.1874, 2.0589, -0.9262], [0.3817, -1.6412, -0.9631], [0.4358, -1.7553, -3.4479], [2.3176, -2.6267, -5.6945], [4.5856, -3.5858, -6.0506], [6.3432, 0.1375, -6.0542], [4.1615, 1.2795, -5.6985], [-4.4873, 4.4250, 0.5083], [-3.4133, 4.1046, 1.5302], [-2.3594, 3.2925, 0.9407], [-1.0289, 3.4401, 1.1010], [-0.0585, 2.0841, 1.1008], [-0.4615, 4.6524, 1.2614], [-0.8910, 5.9111, 0.6714], [-0.8480, 7.0310, 1.6931], [-5.2815, 5.0252, 0.9621], [-4.9349, 3.5076, 0.1115], [-4.0739, 4.9837, -0.3375], [-3.8472, 3.5116, 2.3434], [-3.0131, 5.0118, 1.9854], [-2.6121, 2.3193, 0.8082], [0.5411, 4.5777, 1.3936], [-1.8790, 5.8243, 0.2166], [-0.1902, 6.1303, -0.1420], [-1.5099, 6.8199, 2.5391], [-1.1603, 7.9762, 1.2392], [0.1648, 7.1592, 2.0896], [2.9010, 0.2073, 1.1008]],
=====
Reply >
{
  "formula": "C33H37AuN5PS2",
  "method": "ωB97M-V/def2-TZVPD",
  "fmax_ev_per_a": 5.75,
  "orbital_gap_ha": [0.24606, 0.19894],
  "lumo_ev": [-5.316, -8.264],
  "total_charge": 2,
  "multiplicity": 3,
  "species": ["Au", "N", "C", "C", "C", "C", "C", "C", "P", "C", "C", "C", "C", "C", "C", "C", "C", "C", "C", "C", "C", "H", "H", "H", "H", "H", "H", "H", "H", "H", "H", "H", "H", "H", "H", "H", "H", "S", "C", "C", "C", "N", "C", "C", "C", "C", "C", "N", "C", "C", "H", "H", "H", "H", "H", "H", "H", "H", "C", "C", "N", "C", "S", "N", "C", "C", "H", "H", "H", "H", "H", "H", "H", "H", "H", "H", "H", "H", "H"],
  "positions_angstrom": [[1.2854, 0.2073, 1.1008], [1.2094, 0.1011, 3.0697], [0.5136, -0.8983, 3.7763], [0.4881, -0.9367, 5.1710], [-0.2329, -1.9386, 5.8204], [-0.9273, -2.8923, 5.0775], [-0.9006, -2.8511, 3.6807], [-0.1747, -1.8561, 3.0202], [-0.0241, -1.6214, 1.2319], [-1.7547, -1.5908, 0.6518], [-2.7650, -0.9823, 1.4162], [-4.0824, -0.9098, 0.9531], [-4.4123, -1.4297, -0.2943], [-3.4230, -2.0083, -1.0835], [-2.1050, -2.0751, -0.6195], [0.6342, -3.2336, 0.6933], [1.9794, -3.2837, 0.2885], [2.5584, -4.4770, -0.1520], [1.8018, -5.6442, -0.1916], [0.4687, -5.6172, 0.2089], [-0.1095, -4.4216, 0.6471], [2.1694, 0.1907, 3.4327], [0.9583, 1.0381, 3.4171], [1.0212, -0.1957, 5.7576], [-0.2564, -1.9745, 6.9066], [-1.4936, -3.6700, 5.5836], [-1.4598, -3.5946, 3.1227], [-2.5362, -0.5401, 2.3838], [-4.8447, -0.4357, 1.5655], [-5.4347, -1.3697, -0.6573], [-3.6698, -2.3989, -2.0671], [-1.3501, -2.5075, -1.2736], [2.5921, -2.3839, 0.3116], [3.5995, -4.4905, -0.4632], [2.2501, -6.5729, -0.5338], [-0.1262, -6.5263, 0.1795], [-1.1549, -4.4337, 0.9440], [1.4701, 0.1623, -5.4050], [1.4046, 0.1769, -3.6232], [1.8960, 1.2679, -2.9100], [1.8164, 1.2345, -1.5287], [1.2854, 0.2073, -0.8325], [0.8079, -0.8320, -1.5493], [0.8414, -0.8930, -2.9316], [3.0666, -0.5919, -5.6537], [3.1817, -1.9759, -5.7619], [4.4417, -2.5127, -5.9620], [5.5654, -1.7719, -6.0633], [5.4232, -0.4333, -5.9640], [4.2082, 0.1986, -5.7641], [2.3302, 2.1264, -3.4091], [2.1874, 2.0589, -0.9262], [0.3817, -1.6412, -0.9631], [0.4358, -1.7553, -3.4479], [2.3176, -2.6267, -5.6945], [4.5856, -3.5858, -6.0506], [6.3432, 0.1375, -6.0542], [4.1615, 1.2795, -5.6985], [-4.4873, 4.4250, 0.5083], [-3.4133, 4.1046, 1.5302], [-2.3594, 3.2925, 0.9407], [-1.0289, 3.4401, 1.1010], [-0.0585, 2.0841, 1.1008], [-0.4615, 4.6524, 1.2614], [-0.8910, 5.9111, 0.6714], [-0.8480, 7.0310, 1.6931], [-5.2815, 5.0252, 0.9621], [-4.9349, 3.5076, 0.1115], [-4.0739, 4.9837, -0.3375], [-3.8472, 3.5116, 2.3434], [-3.0131, 5.0118, 1.9854], [-2.6121, 2.3193, 0.8082], [0.5411, 4.5777, 1.3936], [-1.8790, 5.8243, 0.2166], [-0.1902, 6.1303, -0.1420], [-1.5099, 6.8199, 2.5391], [-1.1603, 7.9762, 1.2392], [0.1648, 7.1592, 2.0896], [2.9010, 0.2073, 1.1008]],